**Excerpt:**
........
SrMg14Bi, optimized geometry, DFT PBE-GGA; energy relative to the elements = -20 meV per atom; energy above the lowest structure with this stoichiometry = 0.000 eV/atom; spin magnetization = 0.000 μB/cell; space-group type = Amm2, No. 38
1.0
10.626 0.000 0.000
0.000 3.253 5.775
0.000 -3.253 5.775
Sr Mg Bi
1 14 1
Cartesian
0.000 0.000 0.000 Sr
0.000 -1.597 2.891 Mg
0.000 1.597 2.891 Mg
2.672 0.000 7.727 Mg
2.769 0.000 1.966 Mg
2.807 -1.612 4.769 Mg
2.807 1.612 4.769 Mg
5.313 0.000 0.004 Mg
5.313 0.000 5.789 Mg
5.313 -1.617 8.653 Mg
5.313 1.617 8.653 Mg
7.818 -1.612 4.769 Mg
7.818 1.612 4.769 Mg
7.857 0.000 1.966 Mg
7.954 0.000 7.727 Mg
0.000 0.000 5.727 Bi


(1)
Crystalline BaTaSe3 at its relaxed geometry. Source: the Materials Project database, functional PBE-GGA. Values from VASP.

The structure in Quantum ESPRESSO input format:
```
&SYSTEM
  ibrav = 0, nat = 10, ntyp = 3
/
ATOMIC_SPECIES
Ba 137.33 Ba.upf
Ta 180.95 Ta.upf
Se 78.96 Se.upf
CELL_PARAMETERS angstrom
7.2784 0.0000 0.0000
-3.6392 6.3033 0.0000
0.0000 0.0000 5.9259
ATOMIC_POSITIONS angstrom
Ba 0.0000 4.2022 1.4815
Ba 3.6392 2.1011 4.4444
Ta 0.0000 0.0000 0.0000
Ta 0.0000 0.0000 2.9629
Se 0.0000 2.1740 4.4444
Se -1.7565 5.2163 4.4444
Se 1.8827 1.0870 1.4815
Se 1.7565 5.2163 4.4444
Se 5.3957 1.0870 1.4815
Se 3.6392 4.1293 1.4815
```

**E_form**: -1.564 eV per atom
**E_tot**: -6.13 eV/atom
**Magnetization**: 0.00 μB/f.u.
**Symmetry**: P6_3/mmc (194)

***

(2)
Crystalline Ba3ThSe7 at its relaxed geometry. Source: the Materials Project database, functional PBE-GGA. Values from VASP.

The structure in Quantum ESPRESSO input format:
```
&SYSTEM
  ibrav = 0, nat = 11, ntyp = 3
/
ATOMIC_SPECIES
Ba 137.33 Ba.upf
Th 232.04 Th.upf
Se 78.96 Se.upf
CELL_PARAMETERS angstrom
-2.9465 6.3239 4.8215
2.9465 -6.3239 4.8215
2.9465 6.3239 -4.8215
ATOMIC_POSITIONS angstrom
Ba 0.0000 0.0000 0.0000
Ba 2.9465 3.0265 2.0074
Ba 0.0000 3.2975 6.8289
Th 0.0000 6.3239 0.8919
Se 1.2039 6.3239 -1.8990
Se 1.7426 0.0000 2.9225
Se 0.0000 3.3850 0.4994
Se 0.0000 0.0000 6.2702
Se 0.0000 9.2628 0.4994
Se 0.0000 5.1214 3.7254
Se 0.0000 7.5265 3.7254
```

**E_form**: -1.938 eV per atom
**E_tot**: -5.06 eV/atom
**Symmetry**: Imm2 (44)

***

(3)
Crystalline BaTm2Se4 at its relaxed geometry. Source: the Materials Project database, functional PBE-GGA. Values from VASP.

The structure in Quantum ESPRESSO input format:
```
&SYSTEM
  ibrav = 0, nat = 28, ntyp = 3
/
ATOMIC_SPECIES
Ba 137.33 Ba.upf
Tm 168.93 Tm.upf
Se 78.96 Se.upf
CELL_PARAMETERS angstrom
12.8204 0.0000 0.0000
0.0000 4.1692 0.0000
0.0000 0.0000 15.0823
ATOMIC_POSITIONS angstrom
Ba 3.0862 1.0423 2.4895
Ba 3.3240 3.1269 10.0307
Ba 9.4964 1.0423 5.0516
Ba 9.7342 3.1269 12.5928
Tm 0.8079 1.0423 5.8964
Tm 1.0123 1.0423 13.5835
Tm 5.3979 3.1269 6.0424
Tm 5.6023 3.1269 13.4375
Tm 7.2181 1.0423 1.6448
Tm 7.4225 1.0423 9.0400
Tm 11.8081 3.1269 1.4988
Tm 12.0125 3.1269 9.1859
Se 0.3203 3.1269 11.8162
Se 1.0784 1.0423 8.6888
Se 1.5870 3.1269 0.3649
Se 2.6366 3.1269 5.1207
Se 3.7736 1.0423 12.6619
Se 4.8232 1.0423 7.9061
Se 5.3318 3.1269 1.1476
Se 6.0899 1.0423 4.2750
Se 6.7305 3.1269 10.8073
Se 7.4886 1.0423 13.9347
Se 7.9972 3.1269 7.1762
Se 9.0468 3.1269 2.4204
Se 10.1838 1.0423 9.9616
Se 11.2334 1.0423 14.7174
Se 11.7420 3.1269 6.3935
Se 12.5000 1.0423 3.2661
```

**E_form**: -2.231 eV per atom
**E_tot**: -5.51 eV/atom
**Symmetry**: Pnma (62)


1.
Below is crystalline Li4V3P8O29 at its relaxed geometry, with properties calculated at the GGA+U level.

Distance to the lowest polymorph of the same formula ... 17 meV per atom
Space-group type ... P1 (1)
Corrected total energy (MP2020 scheme) ... -669.18 eV/cell
Calculated density ... 2.54 Mg/m³

Cell lengths 9.800, 9.804, 14.016 Å; angles 89.76, 89.76, 60.05 degrees
Positions (direct):
1 O 0.912 0.743 0.332
2 O 0.521 0.098 0.177
3 O 0.185 0.479 0.326
4 O 0.997 0.243 0.430
5 O 0.212 0.996 0.746
6 O 0.991 0.761 0.935
7 O 0.788 0.207 0.754
8 O 0.002 0.241 0.070
9 O 0.523 0.384 0.678
10 O 0.100 0.522 0.675
........
**Assignment:**
Give back everything further up verbatim.
**Written answer:**
SrMg14Bi, optimized geometry, DFT PBE-GGA; energy relative to the elements = -20 meV per atom; energy above the lowest structure with this stoichiometry = 0.000 eV/atom; spin magnetization = 0.000 μB/cell; space-group type = Amm2, No. 38
1.0
10.626 0.000 0.000
0.000 3.253 5.775
0.000 -3.253 5.775
Sr Mg Bi
1 14 1
Cartesian
0.000 0.000 0.000 Sr
0.000 -1.597 2.891 Mg
0.000 1.597 2.891 Mg
2.672 0.000 7.727 Mg
2.769 0.000 1.966 Mg
2.807 -1.612 4.769 Mg
2.807 1.612 4.769 Mg
5.313 0.000 0.004 Mg
5.313 0.000 5.789 Mg
5.313 -1.617 8.653 Mg
5.313 1.617 8.653 Mg
7.818 -1.612 4.769 Mg
7.818 1.612 4.769 Mg
7.857 0.000 1.966 Mg
7.954 0.000 7.727 Mg
0.000 0.000 5.727 Bi


(1)
Crystalline BaTaSe3 at its relaxed geometry. Source: the Materials Project database, functional PBE-GGA. Values from VASP.

The structure in Quantum ESPRESSO input format:
```
&SYSTEM
  ibrav = 0, nat = 10, ntyp = 3
/
ATOMIC_SPECIES
Ba 137.33 Ba.upf
Ta 180.95 Ta.upf
Se 78.96 Se.upf
CELL_PARAMETERS angstrom
7.2784 0.0000 0.0000
-3.6392 6.3033 0.0000
0.0000 0.0000 5.9259
ATOMIC_POSITIONS angstrom
Ba 0.0000 4.2022 1.4815
Ba 3.6392 2.1011 4.4444
Ta 0.0000 0.0000 0.0000
Ta 0.0000 0.0000 2.9629
Se 0.0000 2.1740 4.4444
Se -1.7565 5.2163 4.4444
Se 1.8827 1.0870 1.4815
Se 1.7565 5.2163 4.4444
Se 5.3957 1.0870 1.4815
Se 3.6392 4.1293 1.4815
```

**E_form**: -1.564 eV per atom
**E_tot**: -6.13 eV/atom
**Magnetization**: 0.00 μB/f.u.
**Symmetry**: P6_3/mmc (194)

***

(2)
Crystalline Ba3ThSe7 at its relaxed geometry. Source: the Materials Project database, functional PBE-GGA. Values from VASP.

The structure in Quantum ESPRESSO input format:
```
&SYSTEM
  ibrav = 0, nat = 11, ntyp = 3
/
ATOMIC_SPECIES
Ba 137.33 Ba.upf
Th 232.04 Th.upf
Se 78.96 Se.upf
CELL_PARAMETERS angstrom
-2.9465 6.3239 4.8215
2.9465 -6.3239 4.8215
2.9465 6.3239 -4.8215
ATOMIC_POSITIONS angstrom
Ba 0.0000 0.0000 0.0000
Ba 2.9465 3.0265 2.0074
Ba 0.0000 3.2975 6.8289
Th 0.0000 6.3239 0.8919
Se 1.2039 6.3239 -1.8990
Se 1.7426 0.0000 2.9225
Se 0.0000 3.3850 0.4994
Se 0.0000 0.0000 6.2702
Se 0.0000 9.2628 0.4994
Se 0.0000 5.1214 3.7254
Se 0.0000 7.5265 3.7254
```

**E_form**: -1.938 eV per atom
**E_tot**: -5.06 eV/atom
**Symmetry**: Imm2 (44)

***

(3)
Crystalline BaTm2Se4 at its relaxed geometry. Source: the Materials Project database, functional PBE-GGA. Values from VASP.

The structure in Quantum ESPRESSO input format:
```
&SYSTEM
  ibrav = 0, nat = 28, ntyp = 3
/
ATOMIC_SPECIES
Ba 137.33 Ba.upf
Tm 168.93 Tm.upf
Se 78.96 Se.upf
CELL_PARAMETERS angstrom
12.8204 0.0000 0.0000
0.0000 4.1692 0.0000
0.0000 0.0000 15.0823
ATOMIC_POSITIONS angstrom
Ba 3.0862 1.0423 2.4895
Ba 3.3240 3.1269 10.0307
Ba 9.4964 1.0423 5.0516
Ba 9.7342 3.1269 12.5928
Tm 0.8079 1.0423 5.8964
Tm 1.0123 1.0423 13.5835
Tm 5.3979 3.1269 6.0424
Tm 5.6023 3.1269 13.4375
Tm 7.2181 1.0423 1.6448
Tm 7.4225 1.0423 9.0400
Tm 11.8081 3.1269 1.4988
Tm 12.0125 3.1269 9.1859
Se 0.3203 3.1269 11.8162
Se 1.0784 1.0423 8.6888
Se 1.5870 3.1269 0.3649
Se 2.6366 3.1269 5.1207
Se 3.7736 1.0423 12.6619
Se 4.8232 1.0423 7.9061
Se 5.3318 3.1269 1.1476
Se 6.0899 1.0423 4.2750
Se 6.7305 3.1269 10.8073
Se 7.4886 1.0423 13.9347
Se 7.9972 3.1269 7.1762
Se 9.0468 3.1269 2.4204
Se 10.1838 1.0423 9.9616
Se 11.2334 1.0423 14.7174
Se 11.7420 3.1269 6.3935
Se 12.5000 1.0423 3.2661
```

**E_form**: -2.231 eV per atom
**E_tot**: -5.51 eV/atom
**Symmetry**: Pnma (62)


1.
Below is crystalline Li4V3P8O29 at its relaxed geometry, with properties calculated at the GGA+U level.

Distance to the lowest polymorph of the same formula ... 17 meV per atom
Space-group type ... P1 (1)
Corrected total energy (MP2020 scheme) ... -669.18 eV/cell
Calculated density ... 2.54 Mg/m³

Cell lengths 9.800, 9.804, 14.016 Å; angles 89.76, 89.76, 60.05 degrees
Positions (direct):
1 O 0.912 0.743 0.332
2 O 0.521 0.098 0.177
3 O 0.185 0.479 0.326
4 O 0.997 0.243 0.430
5 O 0.212 0.996 0.746
6 O 0.991 0.761 0.935
7 O 0.788 0.207 0.754
8 O 0.002 0.241 0.070
9 O 0.523 0.384 0.678
10 O 0.100 0.522 0.675